**Request**
What is needed: start at the top of the calculation results further below and quote each line, ending with the one that has "0.00, 0.07],".

**Listing**
- - -
{"formula": "C5H9N3", "method": "ωB97M-V with the def2-TZVPD basis set", "species": ["H", "C", "N", "N", "C", "H", "H", "H", "C", "H", "N", "H", "H", "H", "C", "H", "C"], "xyz": [[1.28209, -0.40274, 1.83856], [0.87328, -0.63037, 0.85271], [2.22708, 1.18279, -0.00913], [-2.04023, 1.17138, -0.94350], [-1.02232, 0.29421, -0.75898], [-0.41454, 0.02461, -1.61540], [0.67560, -1.67658, 0.61968], [1.92171, 1.71894, -0.82223], [-1.86472, -0.85119, -0.08132], [-2.68889, 1.19887, -0.15991], [-1.53617, -0.72745, 1.13462], [1.58865, -0.37035, -1.23375], [2.79473, -0.78221, -0.02432], [-2.75925, -1.28763, -0.51981], [1.90004, -0.15994, -0.20766], [-0.53405, 1.12088, 1.22552], [-0.40301, 0.17677, 0.70491]], "lowdin_charge": [0.13, -0.12, 0.08, 0.13, -0.35, 0.12, 0.12, 0.03, -0.13, 0.05, 0.12, 0.09, 0.12, 0.12, -0.38, 0.14, -0.27], "total_energy_ha": -359.8708, "homo_lumo_gap_ev": 3.8, "multiplicity": 1, "e_homo_ev": -7.1, "de_lowest_kcal_mol": 204.9}


{"formula": "C6H10N2O2", "method": "ωB97M-V with the def2-TZVPD basis set", "species": ["H", "H", "O", "N", "H", "C", "C", "C", "C", "H", "H", "C", "H", "H", "C", "H", "O", "H", "N", "H"], "xyz": [[-3.16758, -1.17038, 0.44278], [2.22397, -1.51628, -1.34899], [-0.78204, -2.42443, 0.28602], [0.72915, -0.64101, -0.21803], [2.35075, 0.71442, 1.24051], [1.55074, 1.66519, 0.58564], [-0.77761, 1.07342, -0.22463], [-0.50110, -1.28973, -0.01831], [-2.86631, -0.38458, 0.10066], [1.09468, 2.13774, 1.54392], [-3.52083, -0.41737, -0.98208], [1.89138, -1.44144, -0.41786], [0.64985, 1.27514, -1.44467], [1.85968, 2.54932, -0.04776], [0.75367, 0.82762, -0.46999], [2.87891, -0.84317, 0.42651], [-1.44191, 2.07837, -0.25120], [1.53906, -2.58720, 0.28801], [-1.47771, -0.16510, -0.02142], [-2.98675, 0.55949, 0.53087]], "lowdin_charge": [-0.02, 0.00, 0.09, -0.13, 0.16, -0.04, -0.36, -0.40, -0.01, 0.09, 0.17, -0.05, 0.15, 0.08, -0.22, 0.15, 0.09, 0.20, 0.00, 0.07], "total_energy_ha": -494.4226, "homo_lumo_gap_ev": 9.9, "multiplicity": 1, "e_homo_ev": -9.4, "de_lowest_kcal_mol": 138.7}
- - -

**Outcome**
{"formula": "C5H9N3", "method": "ωB97M-V with the def2-TZVPD basis set", "species": ["H", "C", "N", "N", "C", "H", "H", "H", "C", "H", "N", "H", "H", "H", "C", "H", "C"], "xyz": [[1.28209, -0.40274, 1.83856], [0.87328, -0.63037, 0.85271], [2.22708, 1.18279, -0.00913], [-2.04023, 1.17138, -0.94350], [-1.02232, 0.29421, -0.75898], [-0.41454, 0.02461, -1.61540], [0.67560, -1.67658, 0.61968], [1.92171, 1.71894, -0.82223], [-1.86472, -0.85119, -0.08132], [-2.68889, 1.19887, -0.15991], [-1.53617, -0.72745, 1.13462], [1.58865, -0.37035, -1.23375], [2.79473, -0.78221, -0.02432], [-2.75925, -1.28763, -0.51981], [1.90004, -0.15994, -0.20766], [-0.53405, 1.12088, 1.22552], [-0.40301, 0.17677, 0.70491]], "lowdin_charge": [0.13, -0.12, 0.08, 0.13, -0.35, 0.12, 0.12, 0.03, -0.13, 0.05, 0.12, 0.09, 0.12, 0.12, -0.38, 0.14, -0.27], "total_energy_ha": -359.8708, "homo_lumo_gap_ev": 3.8, "multiplicity": 1, "e_homo_ev": -7.1, "de_lowest_kcal_mol": 204.9}


{"formula": "C6H10N2O2", "method": "ωB97M-V with the def2-TZVPD basis set", "species": ["H", "H", "O", "N", "H", "C", "C", "C", "C", "H", "H", "C", "H", "H", "C", "H", "O", "H", "N", "H"], "xyz": [[-3.16758, -1.17038, 0.44278], [2.22397, -1.51628, -1.34899], [-0.78204, -2.42443, 0.28602], [0.72915, -0.64101, -0.21803], [2.35075, 0.71442, 1.24051], [1.55074, 1.66519, 0.58564], [-0.77761, 1.07342, -0.22463], [-0.50110, -1.28973, -0.01831], [-2.86631, -0.38458, 0.10066], [1.09468, 2.13774, 1.54392], [-3.52083, -0.41737, -0.98208], [1.89138, -1.44144, -0.41786], [0.64985, 1.27514, -1.44467], [1.85968, 2.54932, -0.04776], [0.75367, 0.82762, -0.46999], [2.87891, -0.84317, 0.42651], [-1.44191, 2.07837, -0.25120], [1.53906, -2.58720, 0.28801], [-1.47771, -0.16510, -0.02142], [-2.98675, 0.55949, 0.53087]], "lowdin_charge": [-0.02, 0.00, 0.09, -0.13, 0.16, -0.04, -0.36, -0.40, -0.01, 0.09, 0.17, -0.05, 0.15, 0.08, -0.22, 0.15, 0.09, 0.20, 0.00, 0.07], "total_energy_ha": -494.4226, "homo_lumo_gap_ev": 9.9, "multiplicity": 1, "e_homo_ev": -9.4, "de_lowest_kcal_mol": 138.7}